Isaiah 2:2-5



1.         Those of you who have been around here a while know that I am interested in statements that are made in the scriptures more than once.

a.         When someone repeats a saying, it either means he has forgotten that he already said it to you, or that he thinks you might forget it, or that it is especially important.

b.         If God is the speaker, one of the latter two possibilities will be the reason for the repetition, and they may go together.

c.         Our text is a wonderful, captivating example of a truth so valuable that it must not be allowed to slip from view.  Here is what it says....


2.         There must be something about what this text says that has notably rich meaning for hurting hearts.

a.         It is recorded twice in almost identical forms (here and in Micah 4:1-5).

b.         These are statements of contemporaries who had to address the same circumstances, but in different settings–Isaiah in the city, Micah in the country.

c.         In both cases, the beautiful saying rises from very dark ground.

i.          In Isaiah, it is preceded by an awful description of the sinfulness of the nation: they are like children who have rebelled against their father; like a sick body full of sores from head to foot; like hands filthy with sin-stains that cannot be hidden (1:2, 5-6, 15, 18).

ii.         In Micah, a declaration of the Lord’s judgment upon the land precedes this saying: because they have hated the good and loved the evil, Zion will be plowed like a field, Jerusalem will become a heap of ruins, and the mountain would grow up with brush (3:2, 12).

iii.        Either way, there is something in this early promise of God to relieve the despair: there is some basis here for an appeal to come to the house of the Lord and to walk in his light (v. 3, 5).


3.         So what is it in this picture that is so attractive?  Where is the relief to be found from the disgusting sinfulness of the culture and the from the dreaded fate of the nation?  In the establishing of the mountain of the LORD’S house as the highest of the mountains!


a.         The gods of ancient world were supposed to have lived on mountains–each god was thought to have had his own.  (ESV S.B. 1243)


b.         The LORD, the God of the Bible, made it clear that he is present everywhere, but when the temple was built on Mt. Zion at Jerusalem, it became his holy mountain and his name dwelled there (cf. Joel 3:17).


c.         What the prophet announces is that the mountain of the Lord’s house “shall be established as the highest of the mountains, and shall be lifted above the hills.”


i.          It was unimpressive physically when compared to other mountains, and it was being spiritually neglected at the time.

ii.         But, according to this prophecy, it would become most exalted in honor.

iii.        The mountain that God desired for his abode may have been looked upon with hatred (Ps. 68:16), but his house would become attractive even to the nations.

iv.        By an amazing, unexplainable magnetism, a river of humanity would flow uphill to learn the ways of the one true God!

v.         What a picture of the exaltation of the kingdom of God to a supreme position above all the kingdoms of this earth!


4.         But when?  And how?  Imagined answers to these questions have led to whole systems of thought that have forced the entire message of the Bible into packages, either political or millenial.  There are, however, key phrases here which, in the light of the New Testament, lead us to the church of the Lord.


a.         “In the latter days”(v.2) is the phrase the New Testament uses to speak of the age which began when God raised up his Son.

i.          1 Peter 1:20

ii.         Hebrews 1:2

iii.        Acts 2:17

(1)        Interestingly, this is a quote from Joel 2:28, which does not have “in the latter days.”  Some think the phrase in Acts 2 is borrowed from our text.

(2)        We have a time frame, then, for when the mountain of the Lord’s house was to be established as the highest of the mountains.


b.         “He shall judge between the nations, and shall decide disputes for many peoples” (v.4) ties the exalting of the mountain of the Lord’s house to the work of the Messiah.

i.          This is the same as what would be done by the branch from David’s family upon whom the Spirit of the LORD would rest and who would rule the earth with the rod of his mouth (Isaiah 11:4, 5).

ii.         Isaiah 25:6-8

iii.        1 Corinthians 15:54; Revelation 7:17; 21:4.


c.         “Out of Zion shall go the law, and the word of the LORD from Jerusalem” (v.3) finds its meaning in the beginning of the proclamation of Jesus as the Christ.

i.          Luke 24:47

ii.         Acts 1:4, 8

iii.        Hebrews 12:22

• Someone pasted calculated crystals at this point:
____________
Entry from Alexandria via LeMat-Bulk: a relaxed structure of YSbOs (PBE).

uncorrected formation energy: -0.17 eV/atom
ρ: 10.40 g/cm³
space-group type: I4mm (107)

Structure (POSCAR):
```
YSbOs
1.0
6.338 0.002 -0.002
5.480 3.184 0.000
0.858 0.230 3.174
Y Os Sb
1 1 1
Cartesian
7.980 2.151 1.110
11.692 3.152 0.034
4.821 1.299 2.026
```

=====

[1]
DFT (PBE) results for a relaxed structure of Sc3HgRu.

Cell lengths 5.143, 5.143, 5.143 Å; angles 90.00, 90.00, 90.00 degrees
Sites, in units of the cell vectors:
Sc 0.000 0.000 0.500
Sc 0.000 0.500 0.000
Sc 0.500 0.000 0.000
Hg 0.000 0.000 0.000
Ru 0.500 0.500 0.500

**Calculated total energy**: -24.02 eV for the cell shown
**Energy relative to the lowest polymorph listed for this composition**: 5.263 eV per formula unit
**Spin magnetization**: 0.43 μB per formula unit

[2]
DFT (PBE) results for a relaxed structure of Sc6Hg5Ru.

Cell lengths 4.886, 7.038, 7.688 Å; angles 90.00, 108.43, 90.00 degrees
Sites, in units of the cell vectors:
Sc 0.000 0.231 0.000
Sc 0.000 0.769 0.000
Sc 0.343 0.239 0.686
Sc 0.343 0.761 0.686
Sc 0.657 0.239 0.314
Sc 0.657 0.761 0.314
Hg 0.170 0.500 0.341
Hg 0.171 0.000 0.342
Hg 0.500 0.500 0.000
Hg 0.829 0.000 0.658
Hg 0.830 0.500 0.659
Ru 0.500 0.000 0.000

**Calculated total energy**: -54.22 eV for the cell shown
**Spin magnetization**: 0.00 μB per formula unit

[3]
DFT (PBE) results for a relaxed structure of ScHgRu2.

Cell lengths 2.924, 2.924, 8.077 Å; angles 90.00, 90.00, 90.00 degrees
Sites, in units of the cell vectors:
Sc 0.000 0.000 0.000
Hg 0.500 0.500 0.291
Ru 0.000 0.000 0.560
Ru 0.500 0.500 0.757

**Calculated total energy**: -25.34 eV for the cell shown
**Spin magnetization**: 0.00 μB per formula unit

[4]
DFT (PBE) results for a relaxed structure of Sc2HgRu.

Cell lengths 3.342, 4.086, 5.897 Å; angles 90.00, 90.00, 90.00 degrees
Sites, in units of the cell vectors:
Sc 0.000 0.000 0.000
Sc 0.500 0.500 0.313
Hg 0.000 0.000 0.531
Ru 0.500 0.500 0.874

**Calculated total energy**: -23.15 eV for the cell shown
**Spin magnetization**: 0.00 μB per formula unit

[5]
DFT (PBE) results for a relaxed structure of Sc3HgRu.

Cell lengths 4.986, 4.986, 4.986 Å; angles 90.00, 90.00, 90.00 degrees
Sites, in units of the cell vectors:
Sc 0.000 0.000 0.500
Sc 0.000 0.500 0.000
Sc 0.500 0.000 0.000
Hg 0.500 0.500 0.500
Ru 0.000 0.000 0.000

**Calculated total energy**: -29.28 eV for the cell shown
**Energy relative to the lowest polymorph listed for this composition**: 0.000 eV per formula unit
**Spin magnetization**: 0.00 μB per formula unit

[6]
DFT (PBE) results for a relaxed structure of Sc2HgRu2.

Cell lengths 7.341, 7.341, 3.373 Å; angles 90.00, 90.00, 90.00 degrees
Sites, in units of the cell vectors:
Sc 0.158 0.342 0.000
Sc 0.342 0.842 0.000
Sc 0.658 0.158 0.000
Sc 0.842 0.658 0.000
Hg 0.000 0.000 0.500
Hg 0.500 0.500 0.500
Ru 0.140 0.640 0.500
Ru 0.360 0.140 0.500
Ru 0.640 0.860 0.500
Ru 0.860 0.360 0.500

**Calculated total energy**: -66.13 eV for the cell shown
____________




d.         “And all the nations shall flow to it, and many peoples shall come” (v.2b,3a; also 4a) is what happened as people from all the world began to receive the gospel of Christ and to draw near to God through him.

i.          Galatians 3:8 (cf. Gen. 12:3)

ii.         Isaiah 49:6

iii.        Matthew 28:19


e.         “And they shall beat their swords into plowshares, and their spears into pruning hooks” (v.4) is what happens among those who have come to Christ and are ruled by him in all things.

i.          It is a way of saying that since their hostility toward God has been removed, they are at peace in his household.

ii.         Ephesians 2:19

iii.        Under his rule people turn their energies to extending the righteousness, peace and joy of his kingdom (Rom. 14:17).


5.         We are in a position, then, to hear and be responsive to the appeal of this wonderful text.  It was not then, and it is not now, merely a saying to be investigated.  It calls for something to be done.


a.         “And many peoples shall come, and say: ‘Come, let us go up to the mountain of the LORD, to the house of the God of Jacob, that he may teach us his ways and that we may walk in his paths.’” (v. 3)


b.         “O house of Jacob, come, let us walk in the light of the LORD.”  (v. 5)


6.         Both of these are calls for practical personal action.  One writer observed that the appeal is “not to dream of a world movement one day, but to respond in the present and on the spot.” (D. Kidner, New Bible Commentary, 592)


7.         In John 12:32, when some Greeks came wanting to see Jesus and the cross was very near, Jesus said, “And I, when I am lifted up from the earth, will draw all people to myself.”

a.         The word he used for “lifted up” is the same one the Greek version of the O.T. used in Isaiah 2:2 for the mountain of the LORD’S house being “lifted up” above the hills.

b.         What attracts people to his church is his own sacrifice and his victory over the ruler of this world.

c.         What do you think of him?